Here’s The Method Master Coaches Use To Create Trust

Today I was on a coaching call and I was scared. It was the first five minutes of the conversation and I had this feeling that I’ve had before: this feeling that I have no idea what I’m doing.

As I sat there I could feel the fear coursing through my body. I watched the thoughts rise and fall. I can’t help this man. I have no idea what to say. I don’t know how I ever thought I could help him. As it arose, I sat and breathed. I had been here before. I knew what to do.

I simply slowed down, got really curious, and started to listen.

Two hours later he was getting off the phone with me, more clear and happy than he had been in a while. He thanked me again and again. It was one of the most powerful coaching calls I’ve had in a long time.

What changed?

You might think there was some magic technique I used, some secret coaching trick that I employed to turn my fear into confidence.

There is a secret to having powerful conversations, but it’s not a technique or a process. You can’t learn it any book.

The secret is to listen. To slow down, to stay engaged, and to really listen.

Most of us don’t know how to do this. We know how to wait for our turn to speak. We know how to analyze the communication for valuable data. We know how to guess at what they person wants us to say. We may even know how to agree or disagree with them.

But listening deeply is different. It means being willing to hear someone else without having to fix them, without having to respond, without knowing where the conversation will go next.

It’s simple, but it’s also very hard. Our tendency is to try and think about talking or think about listening without actually listening.

But you can change it if you want to. If you want to listen more deeply simply do this.

  • Sit down and look at the person who is talking.
  • When they speak, notice what is happening for you and for them.
  • As you listen, notice what you feel and experience.
  • Stay with that.

  • Be open to hearing what they have to say.
  • Don’t worry if what they say is right or wrong, true or untrue, wise or foolish.
  • Don’t worry if you have an opinion about what they are saying, and definitely don’t worry if they have an opinion about something or what it is.
  • If you’re curious about something they said because you want to understand their experience, go ahead and ask about it.
  • If you want to know details or facts or find anything out so you can make them right or wrong and so you can analyze the situation, let it go.

  • When you think you hear what they are saying, reflect it back.
  • But make sure you inquire instead of accuse.
  • Don’t say “Oh you’re feeling this,” or “Oh this is what you mean.”
  • Instead say: “Is this how you’re feeling? Is this what you mean?”
  • If you have a story that you think would help frame their experience, then tell it.
  • If you have a story that competes with or mirrors their experience, then keep it to yourself.

  • Slow down.
  • No even slower.
  • Be okay with silence.
  • Be okay with giving them time.
  • Be okay with giving yourself time.

  • Love them and yourself.
  • Keep your heart open, especially when you feel it contract.
  • Try to listen, but not too hard.
  • Just be relaxed and open to their words.
  • And don’t forget to slow down.

We all think we know how to listen, but true listening is hard. It requires the same kind of attention meditation does. You must be alert but relaxed. You must be kind and open. You must be willing to go wherever the conversation takes you. You must let go.

Listening takes a lifetime of practice. I practice it everyday, and I do it most a lot of the time. But listening is worth it. Listening heals wounds, it draws out wisdom, and it creates a space that is almost impossible to find in the world.

If you want to offer something of enormous value to those in your life, whether it be a friend, a client, a customer, a colleague, or even your own children, then learn to listen to them. Learn to be with them as they share their lives.

To be with someone who listens is to finally feel like you’re not alone.Tweet: To be with someone who listens is to finally feel like you’re not alone. @mindfitmove


Day 24: Listen

How To Listen
Most of the time you think of listening as a passive act. You might nod your head or make facial expressions, but as a listener your main job is to pay attention and wait for the moment when you have something to offer. Then you speak and the roles reverse.

~~~
[1]
Below is an optimized crystal structure of U2Al3C4, with properties calculated at the PBE level.

Cell lengths 3.3982, 3.3982, 23.3325 Å; angles 90.00, 90.00, 120.00 degrees
Space group P6_3mc (No. 186)
Inequivalent atoms, fractional coordinates:
U 0.3333 0.6667 0.0000 (multiplicity 2)
U 0.3333 0.6667 0.3750 (multiplicity 2)
Al 0.0000 0.0000 0.1004 (multiplicity 2)
Al 0.0000 0.0000 0.2741 (multiplicity 2)
Al 0.3333 0.6667 0.6854 (multiplicity 2)
C 0.0000 0.0000 0.1875 (multiplicity 2)
C 0.0000 0.0000 0.4375 (multiplicity 2)
C 0.3333 0.6667 0.5722 (multiplicity 2)
C 0.3333 0.6667 0.8047 (multiplicity 2)

Total magnetization: 1.2 μB per formula unit

[2]
Below is an optimized crystal structure of UAl3C3, with properties calculated at the PBE level.

Cell lengths 3.3876, 3.3876, 17.4263 Å; angles 90.00, 90.00, 120.00 degrees
Space group P6_3mc (No. 186)
Inequivalent atoms, fractional coordinates:
U 0.0000 0.0000 0.0000 (multiplicity 2)
Al 0.3333 0.6667 0.1342 (multiplicity 2)
Al 0.3333 0.6667 0.3670 (multiplicity 2)
Al 0.3333 0.6667 0.7537 (multiplicity 2)
C 0.3333 0.6667 0.2502 (multiplicity 2)
C 0.3333 0.6667 0.5928 (multiplicity 2)
C 0.3333 0.6667 0.9045 (multiplicity 2)

Total magnetization: 1.1 μB per formula unit

[3]
Below is an optimized crystal structure of Al3V12C8, with properties calculated at the PBE level.

Cell lengths 5.0629, 5.0629, 22.6761 Å; angles 90.00, 90.00, 120.00 degrees
Space group P6_3/mcm (No. 193)
Inequivalent atoms, fractional coordinates:
Al 0.0000 0.3295 0.2500 (multiplicity 6)
V 0.0000 0.0000 0.1528 (multiplicity 4)
V 0.0000 0.3538 0.0547 (multiplicity 12)
V 0.3333 0.6667 0.1562 (multiplicity 8)
C 0.0000 0.3327 0.6066 (multiplicity 12)
C 0.3333 0.6667 0.0000 (multiplicity 4)

[4]
Below is an optimized crystal structure of Y5Al3C4, with properties calculated at the PBE level.

Cell lengths 10.9190, 10.9190, 3.5235 Å; angles 90.00, 90.00, 90.00 degrees
Space group P4/mbm (No. 127)
Inequivalent atoms, fractional coordinates:
Y 0.0000 0.5000 0.0000 (multiplicity 2)
Y 0.0508 0.2295 0.5000 (multiplicity 8)
Al 0.0000 0.0000 0.0000 (multiplicity 2)
Al 0.2038 0.7038 0.0000 (multiplicity 4)
C 0.1329 0.6329 0.5000 (multiplicity 4)
C 0.1624 0.3376 0.0000 (multiplicity 4)

Total magnetization: 0.0 μB per formula unit

no.,energy relative to the elements (meV/atom),V (Å³ per cell)
1,-171,233.3
2,-180,173.2
3,-539,503.4
4,-397,420.1
~~~

But this is not listening. This is waiting and speaking. And that’s all most of us know how to do.

Real listening requires something more. It requires attention, engagement, and most of all curiosity.

Think about all the classes you’ve taken. First think about a class that bored you to tears. You probably struggled to pay attention and did your best to take notes, but nothing about the class or the teacher made you curious, and it sucked.

Now think about a class where the subject matter fascinated you or the teacher taught in a way that made you want to learn. You were engaged, present, and really curious about what made history, science, or literature work. You wanted to understand the process and the details.

Now compare the two experiences. Do you see the difference curiosity makes?

Listening with Curiosity
When you listen with curiosity, you don’t just hear the words and wait for your turn to speak. Instead, you listen for what’s behind the words: the feelings, the needs, and the dreams. You don’t just absorb what they’re saying; you become absorbed in it. And you begin to feel what they feel. You begin to truly connect to the person you’re listening to.

How To Listen Deeply
Here are some things I do when I really want to listen deeply:

1. Don’t focus on the details.
Most of the time when you listen, you listen for the details. And that’s normal because that’s how you were taught to listen.

You first learned to listen for the details in school and then later at work. But listening to learn is totally different than listening to connect.

So whenever you’re talking to a friend or loved one, don’t listen to the details, because the details aren’t important. (Unless of course, they’re telling you how to defuse a bomb.)

People tell you details because of how they feel about them. I might tell you about my cute cat, because I feel proud of her beauty or because I love her. I might tell you about this thing I saw on TV, because it made me laugh. But in almost every case the reason I share details is to frame what I’m feeling and what I need.

2. Listen for feelings.
When I say listen for the feelings, I mean to listen for how the events a person describes makes them feel.

For example let’s say your friend comes to you and starts telling you about some crazy things their boss is doing. They tell you how she moved the shredder into a closet and took away the fridge in the break room.

Now though the details are tempting, don’t take the bait! Their boss might be crazy or she might not. Either way it doesn’t matter. What matters is how they feel about it. So listen to how they feel.

Do they feel frustrated, angry, betrayed, hurt, or sad? For now just listen and guess in your own mind. And remember you are just guessing!

It isn’t about trying to diagnose someone’s feelings. It’s about being curious about how they feel. So listen,be curious, and ask yourself “What are they feeling?”

3. Listen for needs.
Needs are the essential things that everyone requires to be happy and healthy. Joy, wholeness, peace, order, and predictability are all kinds of needs.

An attractive partner, a big family, quiet space, a well organized desk, and a schedule are ways or strategies for meeting these needs, but they are not needs. I know this is a subtle distinction so don’t get hung up on it. We’ll come back to it in another challenge.

For now all you have to know is that when you’re listening for needs, you’re listening for the essential thing the person is longing for.

In the example I mentioned above with the crazy boss you might get curious about why they feel that way. And you could ask yourself: What do they need? What would help them feel better? What essential universal thing are they longing for?

You might guess they have a need for collaboration with their boss, or a need for respect, or a need for acknowledgement.

This will be hard at first, because that’s not how most of us were taught to think. Just be curious, what is it that they really want? What would having the fridge back, or being consulted by their boss give them?

A Good Start
There is a lot more to the art of listening, but this is a good start. If you just do these two things your ability to listen in a connective way will increase ten fold.

In the next challenge we’re going to talk about what you do with this information and how you can use it to connect to the people in your life.

For now here’s today’s challenge:

Challenge #24 – Listening

1. Practice:
For this challenge you either need to have a conversation with a friend or mentally review a recent conversation you’ve had. As you do this, listen for the feelings and needs.

One way to make this easier is to get out a piece of paper and make two columns, one for feelings and one for needs. Then as you talk or review just write down your guesses for different feelings and needs you think the other person has arising. And remember the #1 Rule BE CURIOUS.

As you do this you may realize how limited your feelings and needs vocabulary is and that’s ok. For now just do your best to guess the feelings and needs using whatever words you can think of. Then once you’re done if you want to expand your vocabulary there’s some resources at the end of the post.

2. Reflect: Now that you’ve tried a new way of listening. Take some time to reflect on what you noticed.

  • What’s different when you listen with curiosity?
  • What ‘s different when you listen for feelings and needs, instead of details?
  • How easy or hard is it to notice the feelings and needs behind what the other person is saying?
  • Did you gain a better perspective or understanding of their world?
  • What was the hardest part about listening for feelings and needs?
  • What was the easiest part?

3. Share: Please share in one or all of the following ways.

  • Blog – Write a post about what it’s like to listen in a new way. Or write a post about what you learned through your reflection.
  • Post – Using #30dayhappy or posting to our Facebook group share one thing you learned or one thing you struggled with in this challenge.
  • Comment – In the comments below tell me what you think about this way of listening or ask a question about something you found challenging.

Extra Resources:
Here are some excellent handouts that offer lists of different and subtle words for feelings and needs. They were created by the woman who taught me this communication technique were using in this phase which is know as non-violent communication or NVC.

Feelings And Needs Lists –
Other Resources –